Swedish Massage Glossary

Swedish Massage Glossary of Terms

Active assisted movement– Movement
in a joint in which both the client and therapist produce the motion together.

Active free movement–  Movement
of a joint freely through its range of motion, unassisted: done by client

Acute-signs and symptoms happen
quickly, last a short amount of time and then disappear.

Adhesion– Abnormal adherence of
collagen fibers  within connective tissue to surrounding structures
following trauma or stress; as a result of surgery.  restrict the
normal elasticity of these structures as well as the transfer of electrolytes
and other fluids.

Autonomic Nervous System
The body system that regulates involuntary body functions such as action
of glands, smooth muscles and the heart.  It consists of the sympathetic
and parasympathetic nervous system.

Atrophy– Wasting away or decrease
in size of  something, due to disease or other factors such as nutrition
or lack of use.

Beating – a form of heavy tapotement
usually using the fist.

Between two parts of the piece: records of molecules
........
{"formula": "C25H47N3Si4V", "method": "ωB97M-V/def2-TZVPD", "symbols": ["V", "C", "N", "C", "C", "C", "C", "C", "C", "C", "N", "C", "C", "C", "C", "C", "C", "N", "C", "C", "H", "H", "H", "H", "H", "H", "H", "H", "H", "H", "H", "H", "H", "H", "H", "H", "H", "H", "H", "H", "C", "Si", "C", "C", "Si", "Si", "C", "C", "C", "Si", "C", "C", "C", "H", "H", "H", "H", "H", "H", "H", "H", "H", "H", "H", "H", "H", "H", "H", "H", "H", "H", "H", "H", "H", "H", "H", "H", "H", "H", "H"], "xyz": [[-0.02, 0.87, -0.03], [2.63, -0.11, -0.98], [1.41, -0.61, -0.31], [0.75, -1.62, -1.16], [1.76, -1.11, 1.04], [2.53, -2.24, 1.20], [2.95, -2.60, 2.47], [2.61, -1.80, 3.55], [1.84, -0.66, 3.39], [1.38, -0.29, 2.12], [0.59, 0.80, 1.77], [0.22, 1.93, 2.50], [0.02, 2.05, 3.87], [-0.41, 3.25, 4.41], [-0.67, 4.35, 3.61], [-0.49, 4.25, 2.23], [-0.06, 3.06, 1.70], [0.25, 2.92, 0.26], [-0.63, 3.66, -0.66], [1.66, 3.31, 0.03], [3.31, -0.93, -1.20], [2.35, 0.37, -1.92], [3.12, 0.61, -0.33], [1.42, -2.46, -1.36], [-0.15, -1.98, -0.68], [0.49, -1.15, -2.12], [2.81, -2.84, 0.34], [3.55, -3.49, 2.62], [2.95, -2.06, 4.54], [1.60, -0.06, 4.25], [0.16, 1.20, 4.52], [-0.57, 3.32, 5.48], [-1.02, 5.28, 4.04], [-0.69, 5.10, 1.59], [-0.46, 4.74, -0.58], [-0.39, 3.36, -1.68], [-1.67, 3.43, -0.44], [1.77, 4.38, 0.23], [2.30, 2.75, 0.71], [1.93, 3.10, -1.00], [-1.87, 0.87, -3.23], [-2.97, -0.30, -2.22], [-4.76, 0.04, -2.68], [-2.59, -2.06, -2.77], [-2.43, 0.07, 0.03], [-2.67, -1.90, 1.37], [-1.77, -3.42, 0.72], [-4.49, -2.34, 1.48], [-2.02, -1.60, 3.11], [-4.04, 1.56, 0.98], [-3.85, 1.59, 2.85], [-5.78, 0.99, 0.56], [-3.99, 3.33, 0.36], [-2.07, 0.76, -4.30], [-0.80, 0.67, -3.08], [-2.06, 1.92, -2.97], [-4.93, -0.30, -3.70], [-4.99, 1.11, -2.63], [-5.45, -0.48, -2.02], [-2.68, -2.11, -3.86], [-3.32, -2.75, -2.35], [-1.60, -2.42, -2.50], [-1.88, -3.58, -0.35], [-2.22, -4.28, 1.23], [-0.71, -3.43, 0.98], [-4.97, -2.40, 0.50], [-5.04, -1.63, 2.09], [-4.57, -3.32, 1.95], [-0.96, -1.33, 3.10], [-2.13, -2.51, 3.70], [-2.56, -0.80, 3.62], [-4.39, 0.76, 3.30], [-4.26, 2.51, 3.25], [-2.81, 1.52, 3.17], [-5.95, -0.08, 0.68], [-6.06, 1.26, -0.46], [-6.46, 1.52, 1.24], [-3.18, 3.92, 0.79], [-4.92, 3.81, 0.67], [-3.95, 3.40, -0.73]], "mulliken_spin": [2.330, 0.074, -0.166, 0.044, 0.093, -0.003, 0.003, 0.001, -0.003, 0.001, -0.155, 0.037, -0.004, 0.002, 0.003, -0.003, -0.034, -0.111, -0.001, 0.063, 0.008, 0.012, -0.006, 0.009, 0.000, -0.010, 0.001, 0.000, 0.000, 0.002, 0.002, 0.000, 0.000, 0.000, 0.004, 0.001, 0.027, 0.006, -0.005, 0.005, -0.007, -0.002, -0.003, 0.001, -0.189, 0.002, 0.001, -0.010, -0.004, -0.012, -0.002, -0.010, 0.000, 0.001, 0.006, 0.002, -0.001, 0.000, 0.000, 0.000, 0.000, -0.001, 0.000, 0.000, -0.001, 0.000, 0.001, -0.001, 0.004, 0.000, 0.000, 0.000, 0.000, 0.001, 0.001, 0.001, -0.001, 0.000, 0.000, 0.000], "homo_ev": [-10.11, -10.50], "spin_multiplicity": 3, "total_energy_ev": -88353.0991, "max_force_ha_per_bohr": 0.015, "total_charge": 1, "relative_energy_ev": 0.000}

----------

[1]
........

Chronic– disease or condition that
develops slowly and lasts for a long time.

Compression– Massage petrissage
stroke, applied with fist, palm, heel of hand or fingertips; used to spread
tissue against underlying structures; can vary in pace and depth.

********
(1)
Computed, not measured: a cluster of 2 separate species, C4H12 in total, with the ωB97M-V functional and the def2-TZVPD basis.

For the maximum force, the calculation gives 1.75 eV/A. The lowest unoccupied orbital energy (alpha / beta) is -3.1 / -11.2 eV. Its HOMO energy (alpha / beta) is -16.49 / -15.79 eV.

Geometry as ORCA input:
```
! RIJCOSX wB97M-V def2-TZVPD def2/J DEFGRID3
* xyz 1 2
C 1.5159 -0.2316 -0.5177
C 1.1583 -1.4186 -1.4381
H 1.3642 -0.3530 0.5555
H 2.5717 0.0097 -0.6183
H 0.8025 0.5971 -0.7795
H 0.3419 -1.9898 -1.0301
H 2.0727 -2.0204 -1.5056
H 0.9679 -1.0273 -2.4372
C -0.9564 1.4491 1.0947
C -1.7319 0.1956 0.8609
H -0.9103 1.5357 2.1934
H -0.0931 1.5915 0.3955
H -1.4655 2.4404 0.8852
H -1.9540 0.0602 -0.1967
H -2.5895 0.2544 1.5393
H -1.0824 -0.6482 1.1958
*
```

=====

(2)
Computed, not measured: a cluster of 2 separate species, C4H12 in total, with the ωB97M-V functional and the def2-TZVPD basis.

For the maximum force, the calculation gives 1.49 eV/A. The lowest unoccupied orbital energy (alpha / beta) is -2.9 / -11.4 eV. Its HOMO energy (alpha / beta) is -17.12 / -15.74 eV.

Geometry as ORCA input:
```
! RIJCOSX wB97M-V def2-TZVPD def2/J DEFGRID3
* xyz 1 2
C 1.0172 1.1782 -0.3971
C 0.6398 2.5955 -0.7320
H 0.4029 0.8887 0.5002
H 0.8606 0.5049 -1.2480
H 2.0670 1.0009 -0.1354
H 1.2402 2.8886 -1.6106
H 0.8284 3.2457 0.1251
H -0.3897 2.7038 -1.0788
C -0.1163 -2.0342 0.5491
C -1.5634 -1.7251 0.6056
H 0.1218 -2.7269 -0.2549
H 0.5107 -1.0803 0.4278
H 0.2512 -2.4814 1.4950
H -1.8039 -1.0549 1.4231
H -2.1308 -2.6662 0.6473
H -1.9356 -1.2375 -0.3165
*
```

=====

(3)
Computed, not measured: a structure of composition C4H12BN, with the ωB97M-V functional and the def2-TZVPD basis.

For the maximum force, the calculation gives 6.08 eV/A. The lowest unoccupied orbital energy is 0.2 eV. Its HOMO energy is -7.23 eV.

Geometry as ORCA input:
```
! RIJCOSX wB97M-V def2-TZVPD def2/J DEFGRID3
* xyz 0 1
B -1.1399 0.1329 0.2164
C -1.9784 -1.2253 0.3227
C -1.1418 1.5434 -0.3898
C 1.5216 -0.9915 -0.8743
C 1.5797 0.6366 0.9550
N 0.8385 -0.4633 0.3484
H -2.0041 -2.0162 -0.3620
H -3.0618 -1.0293 0.5918
H -1.4071 -1.6533 1.1145
H -0.5855 1.6656 -1.3217
H -0.6691 2.2964 0.2544
H -2.2800 1.8360 -0.6030
H 1.0621 -1.8240 -1.2168
H 1.4856 -0.2164 -1.6837
H 2.5061 -1.3134 -0.5759
H 0.9275 1.0679 1.6290
H 2.4467 0.1746 1.4654
H 1.8999 1.3793 0.1295
*
```
********

Connective tissue– The most abundant
type of tissue in the body, providing support, structure, framework, space,
stabilization and scar formation; binds structures together.

Contraindications– factors that
indicate that the treatment is not advised, unless further evaluation by
a physician can recommend a treatment plan.

Desquamation– The shedding of epethelial
tissue; mainly the skin  as in exfoliation.

Effleurage– gliding stroke; does
not access the muscle layer; following the fiber direction of the underlying

# Unrelated to this article: molecular data
~~~
(1)
The following is a DFT calculation (ωB97M-V/def2-TZVPD) of 7 unconnected molecules or ions with the total composition C41H41N9O in a non-equilibrium geometry.

The geometry in XYZ format:
```
92
Properties=species:S:1:pos:R:3
N 1.99 0.50 -0.09
C 1.88 1.08 1.21
O 1.75 0.32 2.17
C 1.95 2.61 1.53
C 0.96 3.51 0.69
C -0.41 2.85 0.35
C -1.02 3.10 -0.99
N -2.21 2.64 -1.45
C -2.78 1.83 -0.47
C -4.11 1.19 -0.80
C -4.83 0.35 0.14
C -4.25 0.08 1.49
C -2.97 0.66 1.82
C -2.22 1.55 0.87
N -1.01 2.09 1.30
H 1.26 0.90 -0.69
H 1.70 -0.48 0.04
H 3.00 2.95 1.25
H 1.76 2.79 2.61
H 0.74 4.43 1.32
H 1.42 3.93 -0.26
H -0.44 3.76 -1.69
H -4.58 1.34 -1.80
H -5.82 -0.11 -0.11
H -4.74 -0.56 2.27
H -2.52 0.44 2.81
C -4.18 2.81 -5.42
C -2.94 3.10 -4.88
C -2.06 3.87 -5.63
N -2.35 4.35 -6.84
C -3.56 4.06 -7.34
C -4.50 3.30 -6.68
H -4.90 2.21 -4.86
H -2.65 2.73 -3.90
H -1.08 4.12 -5.25
H -3.76 4.46 -8.33
H -5.46 3.10 -7.13
C -2.86 8.49 -2.79
C -1.78 8.59 -1.93
C -1.24 7.43 -1.41
N -1.72 6.20 -1.68
C -2.77 6.13 -2.51
C -3.37 7.24 -3.09
H -3.31 9.38 -3.22
H -1.36 9.56 -1.67
H -0.39 7.46 -0.74
H -3.13 5.13 -2.71
H -4.22 7.12 -3.75
C 2.22 -2.18 4.38
C 3.14 -3.02 3.78
C 3.60 -4.11 4.50
N 3.22 -4.40 5.75
C 2.33 -3.56 6.31
C 1.80 -2.45 5.68
H 1.83 -1.31 3.85
H 3.49 -2.83 2.77
H 4.32 -4.80 4.07
H 2.03 -3.82 7.33
H 1.08 -1.82 6.18
C 3.80 0.26 -4.43
C 4.52 -0.49 -5.34
C 5.19 -1.62 -4.88
N 5.18 -2.02 -3.61
C 4.47 -1.28 -2.74
C 3.77 -0.13 -3.10
H 3.27 1.15 -4.75
H 4.57 -0.21 -6.38
H 5.76 -2.24 -5.56
H 4.48 -1.62 -1.72
H 3.22 0.43 -2.36
C 0.80 -5.01 -1.44
C 0.08 -4.05 -2.14
C 0.13 -2.74 -1.69
N 0.83 -2.35 -0.62
C 1.51 -3.29 0.04
C 1.53 -4.63 -0.32
H 0.78 -6.05 -1.76
H -0.50 -4.31 -3.01
H -0.41 -1.95 -2.21
H 2.06 -2.95 0.91
H 2.09 -5.35 0.25
C 0.53 -8.16 8.04
C -0.77 -7.69 7.95
C -1.03 -6.64 7.08
N -0.09 -6.04 6.34
C 1.16 -6.51 6.44
C 1.51 -7.57 7.27
H 0.76 -8.99 8.70
H -1.57 -8.13 8.53
H -2.03 -6.23 6.97
H 1.90 -6.01 5.83
H 2.54 -7.91 7.32
```

Computed properties:
**HOMO energy**: -8.94 eV
**LUMO level**: -0.58 eV
**Frontier orbital gap**: 8.359 eV
**DFT total energy**: -2154.9180 Ha
**Largest force on an atom**: 0.07917 hartree/bohr
**SMILES**: NC(=O)CCc1cnc2ccccc2n1.c1ccncc1.c1ccncc1.c1ccncc1.c1ccncc1.c1ccncc1.c1ccncc1
**Total charge**: 0
~~~

Friction– circular or transverse
technique that focuses on the underlying tissue.

Gate Theory– A hypothetical mechanism
that diminishes pain.  There is a gate through which pain impulses
travel.  Pain signals travel to the Central nervous system on unmyelinated
nerve pathways, which are a slower route to the brain.  Pressure,
touch, vibration, and temperature signals travel on the faster myelinated
nerve pathways.  These signals will arrive first and block out the
sensation of pain.

Golgi Tendon Receptors– receptors
in the tendons that sense tension; found mostly near the junction of tendons
and muscles.  It will trigger a central nervous system response which
will inhibit muscular contraction when the tendon is in danger of tearing
due to excessive tension.

Hyperemia– an excess of blood in
an area or body part; usually indicated by red, flushed color or heat in
the area.

Hyperesthesia– Unusual sensitivity
to sensory stimulus, hyper irritalbility, or increased muscular sensitivity
to pain.

Hypertonicity–  Excess muscle

Hypertrophy– An increased size in
muscle or thickening of muscle tissue in response to increases stress.

Inflammation– characterized by pain,
heat, redness, swelling; usually as a result of an injury or infection.

Ischemia–  Local and temporary
decrease in blood flow to an area.

Kneading– Petrissage; rhythmical
lifting of tissue; rolling or squeezing; pulling away from underlying tissue.

Mechanical Effect– based on structural
changes in the tissue; primary effects created manually; as a direct result
of the application of the technique.

Myofascial– affecting the connective
tissue of the body

Muscle spasm– a non-voluntary contraction
of the motor unit of a muscle; usually causing a contraction without shortening
the muscle; can be a result of mental, physical, emotional, chemical stress.

Peristalsis– Successive muscular
contractions along the wall of a hollow muscular structure such as the
movement of food through the intestine and colon.

Petrissage– kneading; rhythmic rolling,
lifting, squeezing, wringing of sort tissue.

Proprioceptor– a receptor located
in muscles, tendons or joints that provides information about body movement
an position.

Reflexive effect– secondary effects
that occur as a result of the massage technique but we do not cause directly
or manually.

Scar tissue–  tissue that results
from healing of wounds; It is composed of collagenous fibers which will
restrict normal elasticity of tissue involved.

Stroke- a technique of therapeutic
massage; applying to the surface or deeper structures of the body.

Tapotement– percussive movement
that are applied to the body, rhythmically.

Vibration– fine, coarse tremulus
movement that creates reflexive responses